On Tuesday, legislators in Juneau made a historic decision.
They opted to shift our state government's financial framework away from a dangerous dependence on volatile oil revenues to one where the earnings of our $64 billion Alaska Permanent Fund can help pay the bills.
As all Alaskans should know, the Permanent Fund is our savings account. We stash 25 percent of oil and minerals (miners pay it too) royalty income into the fund, and 50 percent of royalties from some oil leases.
# What comes next are records of crystals, not part of the page
____________
No. 1
Computed, not measured: a relaxed CdPtC6N6 crystal at the PBE level of DFT.

Computed properties:
Volume   24.222 Å³ per atom
Energy of formation   2.666 eV/f.u.
SG   Fm-3m (225)
Total magnetic moment   0.00 μB/f.u.

abc: 7.8274 7.8274 7.8274
angles: 60.00 60.00 60.00
Fractional coordinates of all 14 atoms:
Cd 0.0000 0.0000 0.0000
Pt 0.5000 0.5000 0.5000
C 0.3179 0.3179 0.6821
C 0.3179 0.6821 0.3179
C 0.3179 0.6821 0.6821
C 0.6821 0.3179 0.3179
C 0.6821 0.3179 0.6821
C 0.6821 0.6821 0.3179
N 0.2129 0.2129 0.7871
N 0.2129 0.7871 0.2129
N 0.2129 0.7871 0.7871
N 0.7871 0.2129 0.2129
N 0.7871 0.2129 0.7871
N 0.7871 0.7871 0.2129

No. 2
Computed, not measured: a relaxed Gd2Cl3 crystal at the PBE level of DFT.

Computed properties:
Volume   27.275 Å³ per atom
Energy of formation   -11.030 eV/f.u.
SG   C2/m (12)

abc: 7.8528 7.8528 10.2037
angles: 115.92 115.92 29.07
Fractional coordinates of all 10 atoms:
Gd 0.0904 0.0904 0.4455
Gd 0.3624 0.3624 0.2036
Gd 0.6376 0.6376 0.7964
Gd 0.9096 0.9096 0.5545
Cl 0.1578 0.1578 0.0104
Cl 0.2699 0.2699 0.3810
Cl 0.4513 0.4513 0.7694
Cl 0.5487 0.5487 0.2306
Cl 0.7301 0.7301 0.6190
Cl 0.8422 0.8422 0.9896

No. 3
Computed, not measured: a relaxed Dy2S3O20 crystal at the PBE level of DFT.

Computed properties:
Volume   16.265 Å³ per atom
Energy of formation   -28.748 eV/f.u.
SG   C2/c (15)
Total magnetic moment   0.05 μB/f.u.

abc: 7.5596 7.5596 18.1730
angles: 97.37 97.37 52.30
Fractional coordinates of all 50 atoms:
Dy 0.1555 0.1847 0.3928
Dy 0.1847 0.1555 0.8928
Dy 0.8153 0.8445 0.1072
Dy 0.8445 0.8153 0.6072
S 0.1951 0.2470 0.0919
S 0.2470 0.1951 0.5919
S 0.2799 0.7201 0.7500
S 0.7201 0.2799 0.2500
S 0.7530 0.8049 0.4081
S 0.8049 0.7530 0.9081
O 0.0692 0.7682 0.7124
O 0.0966 0.4446 0.5922
O 0.1020 0.8806 0.3834
O 0.1029 0.2420 0.0151
O 0.1080 0.8217 0.5548
O 0.1164 0.1850 0.1470
O 0.1194 0.8980 0.1166
O 0.1221 0.4783 0.1151
O 0.1783 0.8920 0.9452
O 0.1850 0.1164 0.6470
O 0.2318 0.9308 0.7876
O 0.2420 0.1029 0.5151
O 0.2795 0.3418 0.8117
O 0.3013 0.3864 0.4239
O 0.3418 0.2795 0.3117
O 0.3760 0.5508 0.8074
O 0.3864 0.3013 0.9239
O 0.4446 0.0966 0.0922
O 0.4492 0.6240 0.6926
O 0.4783 0.1221 0.6151
O 0.5217 0.8779 0.3849
O 0.5508 0.3760 0.3074
O 0.5554 0.9034 0.9078
O 0.6136 0.6987 0.0761
O 0.6240 0.4492 0.1926
O 0.6582 0.7205 0.6883
O 0.6987 0.6136 0.5761
O 0.7205 0.6582 0.1883
O 0.7580 0.8971 0.4849
O 0.7682 0.0692 0.2124
O 0.8150 0.8836 0.3530
O 0.8217 0.1080 0.0548
O 0.8779 0.5217 0.8849
O 0.8806 0.1020 0.8834
O 0.8836 0.8150 0.8530
O 0.8920 0.1783 0.4452
O 0.8971 0.7580 0.9849
O 0.8980 0.1194 0.6166
O 0.9034 0.5554 0.4078
O 0.9308 0.2318 0.2876

No. 4
Computed, not measured: a relaxed DyAgGe crystal at the PBE level of DFT.

Computed properties:
Volume   21.662 Å³ per atom
Energy of formation   -1.250 eV/f.u.
SG   P-62m (189)
Total magnetic moment   0.00 μB/f.u.

abc: 7.4114 7.4114 4.0984
angles: 90.00 90.00 120.00
Fractional coordinates of all 9 atoms:
Dy 0.0000 0.6057 0.0000
Dy 0.3943 0.3943 0.0000
____________
# Back to the page
There were two major steps to this decision. The first was the decision to fund the upcoming fiscal 2019 budget partly with earnings from the fund.
The second step was to establish the rules for the annual withdrawals, which cleared the House and Senate on Tuesday in the form of Senate Bill 26.
Unrelated to this article: data records:
- - -
# 1
This record from Materials Project describes a relaxed structure of Li4CrFe3O8. The functional is PBE+U.

Cell lengths 5.188, 7.879, 7.879 Å; angles 81.79, 70.99, 83.76 degrees
Space group P-1 (No. 2)
Symmetry-distinct sites (fractional):
Li 0.000 0.000 0.000 (multiplicity 1)
Li 0.000 0.126 0.625 (multiplicity 2)
Li 0.000 0.500 0.500 (multiplicity 1)
Li 0.001 0.375 0.875 (multiplicity 2)
Li 0.001 0.750 0.750 (multiplicity 2)
Cr 0.500 0.313 0.562 (multiplicity 2)
Fe 0.500 0.062 0.313 (multiplicity 2)
Fe 0.500 0.188 0.937 (multiplicity 2)
Fe 0.500 0.437 0.188 (multiplicity 2)
O 0.270 0.406 0.028 (multiplicity 2)
O 0.271 0.031 0.152 (multiplicity 2)
O 0.271 0.781 0.902 (multiplicity 2)
O 0.273 0.157 0.775 (multiplicity 2)
O 0.273 0.903 0.526 (multiplicity 2)
O 0.274 0.280 0.403 (multiplicity 2)
O 0.275 0.530 0.650 (multiplicity 2)
O 0.275 0.655 0.278 (multiplicity 2)

total moment: 36.01 μB/cell
formation energy from the elements: -2.0573 eV/atom
E_tot: -6.308 eV per atom
MP2020-corrected energy: -7.1999 eV/atom


# 2
This record from Materials Project describes a relaxed structure of Li6V2OF11. The functional is PBE+U.

Cell lengths 5.124, 8.800, 9.773 Å; angles 107.72, 90.26, 90.63 degrees
Space group P1 (No. 1)
Symmetry-distinct sites (fractional):
Li 0.000 0.000 0.000 (multiplicity 1)
Li 0.001 0.637 0.920 (multiplicity 1)
Li 0.005 0.361 0.148 (multiplicity 1)
Li 0.024 0.236 0.724 (multiplicity 1)
Li 0.029 0.120 0.421 (multiplicity 1)
Li 0.496 0.719 0.730 (multiplicity 1)
Li 0.501 0.000 0.500 (multiplicity 1)
Li 0.502 0.639 0.421 (multiplicity 1)
Li 0.505 0.361 0.649 (multiplicity 1)
Li 0.522 0.237 0.224 (multiplicity 1)
Li 0.527 0.121 0.922 (multiplicity 1)
Li 0.994 0.718 0.230 (multiplicity 1)
V 0.010 0.475 0.462 (multiplicity 1)
V 0.495 0.870 0.180 (multiplicity 1)
V 0.509 0.477 0.963 (multiplicity 1)
V 0.994 0.870 0.680 (multiplicity 1)
O 0.360 0.690 0.079 (multiplicity 1)
O 0.854 0.692 0.580 (multiplicity 1)
F 0.151 0.067 0.817 (multiplicity 1)
F 0.155 0.778 0.820 (multiplicity 1)
F 0.157 0.278 0.324 (multiplicity 1)
F 0.157 0.582 0.329 (multiplicity 1)
F 0.199 0.440 0.836 (multiplicity 1)
F 0.201 0.920 0.313 (multiplicity 1)
F 0.300 0.180 0.573 (multiplicity 1)
F 0.329 0.840 0.581 (multiplicity 1)
F 0.343 0.525 0.571 (multiplicity 1)
F 0.354 0.343 0.068 (multiplicity 1)
F 0.357 0.012 0.079 (multiplicity 1)
F 0.651 0.067 0.316 (multiplicity 1)
F 0.656 0.280 0.826 (multiplicity 1)
F 0.656 0.778 0.321 (multiplicity 1)
F 0.657 0.582 0.828 (multiplicity 1)
F 0.700 0.440 0.336 (multiplicity 1)
F 0.702 0.922 0.814 (multiplicity 1)
F 0.799 0.180 0.073 (multiplicity 1)
F 0.830 0.840 0.080 (multiplicity 1)
F 0.844 0.526 0.071 (multiplicity 1)
F 0.854 0.342 0.568 (multiplicity 1)
F 0.857 0.012 0.581 (multiplicity 1)

total moment: 0.00 μB/cell
formation energy from the elements: -3.1197 eV/atom
E_tot: -5.443 eV per atom
MP2020-corrected energy: -5.9012 eV/atom


# 3
- - -
End of the data records:
Remember that the Alaska Constitution does allow the earnings of the fund to be appropriated by the Legislature, and these earnings have averaged nearly $3 billion a year for the last five years. The principal of the fund cannot be spent, however.
Although the fund's earnings have always been available for appropriation, they have never been used except to pay the annual Permanent Fund dividend, or PFD, and to make "inflation-proofing" payments from the earnings back to the principal.
As with the dividend, the Legislature must make an appropriation for inflation-proofing, and this has not been done for three years. Meanwhile, the fund's income has accumulated in an earnings reserve account and now totals $17 billion.
It is this money, the earnings from our saved oil royalties, that will be used to partly finance the state budget in fiscal 2019, which begins July 1.
It's the first time for this, and it's historic. Many say it's why we created the Permanent Fund in 1976 in the first place — to help pay the bills when the oil revenue winds down. There are, of course, complications.
As we do this, we have to be cautious and make the withdrawals in an orderly way and not take too much. If we do it properly, the earnings reserve will be refilled every year and we'll still have money for the annual PFDs, which are important to many Alaskans.
The rule the Legislature has settled on, after much discussion, is a percent-of-market-value, or POMV, rule for withdrawals that is commonly used by large endowments, such as for major universities. The trick is to use a percentage that is below the expected earnings and including inflation in the calculation, so that the endowment — the principal of the permanent fund, in our case –is sustainable.
What's also important is to use an average of several years' earnings, not the most recent year. That way the effects of good years and bad are smoothed out. In 2009, for example, our Permanent Fund actually lost money. In 2016 and 2017, we had extraordinarily good years. Averaging is important because we don't want to replace volatile oil revenues with volatile financial income.
The plan the Legislature passed this week would base the payout on 5.25 percent of the fund's total market value for three years and then 5 percent thereafter. The averaging is included, so the actual withdrawal, with the percentage based on the fund's average value over five years, would be 4.5 percent.
As an illustration, this would work out to about $2.8 billion per year for both the budget and the dividend. Again, for illustration, if a $1,600 dividend is assumed (the amount set for 2018), that would require about $1 billion, leaving about $1.8 billion available for the budget. Doing the math, we can add about $2.2 billion in normal state income (still mostly in the form of oil revenue) and we arrive at a total of about $4 billion.
That's still $600 million below what's needed to fund the fiscal 2019 budget, which is expected to total about $4.6 billion in unrestricted general fund expenditures.
Luckily, we still have some money in another savings account, the Constitutional Budget Reserve, to cover the FY 2019 general fund deficit. We can only draw down the CBR for one more year, however. The state administration uses the account for cash management through the year to meet payroll and general operating expenses, so we need to always keep at least $1 billion — or, more prudently, $2 billion — in the CBR.
Another awkward truth is that there are certain built-in factors in the budget that will drive costs upward, such as inflation and health care.
The bottom line is that we're not out of the woods financially. We're taking a big, historic step with the use of Permanent Fund earnings but eventually there will have to be another revenue source, ideally a broad-based tax like an income tax or state sales tax.
Alaskans don't like to hear the word "tax," but I believe it's a reality that will face us sometime soon. Residents elsewhere have long paid state taxes, often hefty ones, but Alaskans have been cushioned.
There will be a vigorous debate about all this through the summer and fall political campaigns, however, so we should all keep an open mind. There may be creative ideas out there we haven't thought of.
It's nice to have that luxury.